CHECK24 GenDev Tippspiel Challenge

Note: This is the challenge for the 5th round of the GenDev Scholarship. We're looking forward to your application - happy coding. 🤓

This coding challenge is about a "Tippspiel" (betting game) for the soon-to-be happening European Championship 2024, which takes place in Germany beginning at the 14th of June 2024 and we as CHECK24 are very excited about. The goal is to create a simple application that allows you and your friends (and some more soccer fans) to bet on the outcome of the games and to display the current standings of the participants. This can be done creating a console ⌨️, native app 📱 or web 💻 application using your favorite programming language and framework.

Sounds like a challenge you want to tackle? Let's dive into it! 🤓

Table of Contents

The challenge

Performance is key in this challenge. 🚀

You'll write an application that allows users to bet on the outcome of the games of the European Championship 2024. The application should be able to handle multiple users, games, bets, and outcomes. The application should be able to display the current standings of the participants.

+++
(1)
This entry pairs a crystal structure of Tm3Cd8 with its calculated powder XRD pattern. Radiation: Cu Kα (λ = 1.5418 Å). Structure: a structure optimized by DFT (GGA-PBE).

Largest 10 diffraction maxima, low angle first, 15° ≤ 2θ ≤ 90°:
| d_spacing | Position (°2θ) | I/Imax |
| --- | --- | --- |
| 4.159 | 21.36 | 8 |
| 2.635 | 34.03 | 88 |
| 2.465 | 36.45 | 100 |
| 2.361 | 38.12 | 16 |
| 1.800 | 50.72 | 28 |
| 1.559 | 59.28 | 8 |
| 1.454 | 64.05 | 27 |
| 1.423 | 65.60 | 17 |
| 1.232 | 77.44 | 11 |
| 1.116 | 87.35 | 12 |

Cell and atoms:
Cell: 4.9299 4.9299 36.8359 Å, 90.00 90.00 120.00°
Space group R-3m (No. 166, hexagonal axes)
Unique sites:
Tm (0.0000, 0.0000, 0.0000) (multiplicity 3)
Tm (0.0000, 0.0000, 0.4529) (multiplicity 6)
Cd (0.0000, 0.0000, 0.0836) (multiplicity 6)
Cd (0.0000, 0.0000, 0.1634) (multiplicity 6)
Cd (0.0000, 0.0000, 0.2772) (multiplicity 6)
Cd (0.0000, 0.0000, 0.3657) (multiplicity 6)


(2)
This entry pairs a crystal structure of NpTiW with its calculated powder XRD pattern. Radiation: Cu Kα (λ = 1.5418 Å). Structure: a structure optimized by DFT (GGA-PBE).

Largest 10 diffraction maxima, low angle first, 15° ≤ 2θ ≤ 90°:
| d_spacing | Position (°2θ) | I/Imax |
| --- | --- | --- |
| 4.188 | 21.22 | 38 |
| 2.571 | 34.90 | 98 |
| 2.550 | 35.20 | 89 |
| 2.373 | 37.92 | 100 |
| 2.270 | 39.70 | 47 |
| 2.213 | 40.78 | 48 |
| 2.094 | 43.21 | 52 |
| 2.022 | 44.81 | 43 |
| 1.832 | 49.76 | 48 |
| 1.492 | 62.22 | 49 |

Cell and atoms:
Cell: 4.987 2.701 7.713 Å, 90.00 90.00 90.00°
Space group Pmma (No. 51)
Unique sites:
Np (0.000, 0.000, 0.000) (multiplicity 2)
Ti (0.250, 0.000, 0.345) (multiplicity 2)
W (0.250, 0.500, 0.653) (multiplicity 2)


(3)
This entry pairs a crystal structure of FeH12C4NCl4 with its calculated powder XRD pattern. Radiation: Cu Kα (λ = 1.5418 Å). Structure: a structure optimized by DFT (GGA-PBE).

Largest 10 diffraction maxima, low angle first, 15° ≤ 2θ ≤ 90°:
| d_spacing | Position (°2θ) | I/Imax |
| --- | --- | --- |
| 4.871 | 18.21 | 83 |
| 4.843 | 18.32 | 100 |
| 4.683 | 18.95 | 69 |
| 3.916 | 22.70 | 31 |
| 3.333 | 26.74 | 66 |
| 3.294 | 27.07 | 24 |
| 3.140 | 28.43 | 39 |
| 2.840 | 31.50 | 26 |
| 1.924 | 47.24 | 24 |
| 1.871 | 48.67 | 25 |

Cell and atoms:
Cell: 14.284 6.659 6.588 Å, 90.00 90.00 90.00°
Space group Pma2 (No. 28)
Unique sites:
Fe (0.250, 0.070, 0.000) (multiplicity 2)
H (0.028, 0.279, 0.186) (multiplicity 4)
H (0.056, 0.793, 0.377) (multiplicity 4)
H (0.057, 0.308, 0.639) (multiplicity 4)
H (0.089, 0.619, 0.183) (multiplicity 4)
H (0.103, 0.560, 0.637) (multiplicity 4)
H (0.137, 0.383, 0.445) (multiplicity 4)
C (0.032, 0.671, 0.279) (multiplicity 4)
C (0.080, 0.433, 0.543) (multiplicity 4)
N (0.000, 0.500, 0.411) (multiplicity 2)
Cl (0.123, 0.950, 0.853) (multiplicity 4)
Cl (0.250, 0.404, 0.982) (multiplicity 2)
Cl (0.250, 0.993, 0.326) (multiplicity 2)

=====

1.
Structure and computed PXRD pattern of Tb4CePm15 (a structure optimized by DFT (GGA-PBE); copper Kα).
+++

The most important part is to live update the standings of the participants (users) of your application when a goal is scored or a game ends. This can be done by using a WebSocket connection, polling, or any other method of your choice. Standings should be updated in real-time and your application should be able to handle up to 2 million active participants, while 10.000 users are active at the same time observing the current standings.

We provide you with...

The requirements

The UI

The UI should be simple and easy to use - sky is the limit. You can come up with something fancy, but this is not what we focus on the most in this challenge. Once you fulfilled the basic requirements listed below, you can add some fancy features to your application if you'd like to - we're looking forward to seeing your creativity.

We are open for different technologies and frameworks, so feel free to create an iOS or Android app, a web application, or even a (usable) console application. We won't judge your creativity in UI, but still you should make sure your application fulfills some basic UX principles to make your application easy to use.

Authenticating users (simple approach)

You don't need to come up with something fancy for the authentication of the users.

You could let the user select a username and that's it. Once the user wants to log in, simply ask for his username, not even a password. We don't want you to focus too much on this part during the challenge.

Important: a username is not changeable.


Your application will be used to bring your friends together.

Not just your friends, but also potentially 2 million other soccer fans. Therefore, you should provide the possibility for your users to create communities their friends can join. You should be able to see the standings of your community and the standings of the whole European Championship 2024 tournament.

Think about different screens for the different communities and the whole tournament, e.g.:

  • Tournaments
    • Euro 2024
      • Communities
        • Community A
        • Community B
      • Global Standings

Users should be able to be part of up to 5 communities (by creating or joining them) and should be able to see the standings of the communities they are part of.

Community Leaderboards

Besides the Community pages (stated in Communities) you should provide a leaderboard for each community. The leaderboard should display the current standings of the participants of the community.

Leaderboards are kinda complex to implement, so you should think about a way to implement them in a way that they are scalable and can handle a lot of users by also providing real-time updates of the standings of the participants.

Within the leaderboard, you should be able to search for a user, pin users and show a flexible amount of users in total:

  • show the top 3 users of the community
  • show the user who is currently logged in
  • show the user who is currently on the last place
  • show all users who were pinned by the logged-in user (see Pinning friends)

The leaderboard should show the following information for each user:

  • the username
  • the current points
  • the current rank
  • (+ additional information you think is important)

Pagination of the leaderboard

The leaderboard should be paginated. You should be able to show a flexible amount of users per page. The default amount of users per page should be 10.

As a user I want to be able to navigate before my and after the top positions in the leaderboard by clicking (e.g. arrows). To get a better idea of what we are talking about, check out the following screenshot:

Leaderboard pagination

On every click there should pop up additional 10 users on the specific positions. If there are no users on the next "page", the button should be hidden.


Betting is enabled until the game starts. Once the game starts, the user should not be able to bet on the game anymore.

There is only one thing the user can bet on: the result of the game. The user should be able to bet on the result of the game by entering the number of goals for the home team and the number of goals for the away team.

Real-time updates

It's quite important to note that the European Championship 2024 is a big event and the application should be able to handle a lot of users. Users should have the feeling that your application can provide near-to-real-time updates of the standings.

Therefore, you should provide the possibility for you as an application "admin" to (manually) update the game results somehow without "restarting" the application or the need of changing the code of your application.


Your application should provide a dashboard of the given European Championship 2024 tournament. The dashboard should display the current standings of the participants and the games that are currently being played or are about to start.

The dashboard should also show a sneak preview of the community leaderboards the user is part of plus the global leaderboard of the European Championship 2024 tournament.

This sneak preview consists of:

  • the top 3 users of the community
  • the user who is currently logged in
  • the user who is currently before the logged-in user
  • the user who is currently after the logged-in user
  • the user who is currently on the last place

Which sums up to 7 users in total in these sneak preview leaderboards.

Make sure to think of these scenarios:

  • the logged-in user can be part of the top 3 users of the community (no duplicates in the leaderboard) *
  • the logged-in user can be on the last place of the community (no duplicates in the leaderboard) *
  • ranks are determined like this: 1, 1, 1, 4
  • sort by users registration date when points are equal
  • when community has less than 7 users: show all the users who are part of the community
  • you will still need to return 7 users in total. This means you have to "fill out" your preview by showing more users around the logged-in user.

The following screenshot shows a possible sneak preview of the community leaderboards:

Leaderboard sneak preview

Pinning friends

You might want to pin your friends within community leaderboards to see their current standings by clicking on their name within a leaderboard. There is no maximum pins per user per community.

By pinning friends of yours within a community leaderboard, you should be able to always see them in the leaderboard (see Leaderboards).

Persisting data

Make sure to persist the data of the users, the communities, the bets, and the games. You can use a database of your choice to persist the data. After a restart, the leaderboard and all the functionalities should stay the same but startup time is OK.

Want to be extra fancy?

Display a delta of the current standings of the participants in the leaderboard. This delta should be calculated based on the standings of yesterday (00:00 o'clock) and the current standings of the participants.

We support you with...

List of games of the European Championship 2024

You will find the participants of the European Championship 2024 at the following URL: The last qualification games will be played in the end of March 2024, so the list of teams will be complete after that date.

The games of the European Championship 2024 is part of the dataset repository you can access by clicking the link "Click here to start the challenge and access the datasets 🚀" at the end of this README.

The logic to calculate the points for the users

The points for the users bets are calculated as follows:

8 points for the exact result 🥳

Let's say the game is "Deutschland" vs. "Schottland" and the user bets 3:1 for "Deutschland". The game ends 3:1 for "Deutschland". The user gets 8 points for the exact result.

6 points for the correct goal difference if not a draw 👏

Another example, the user bets 2:0 for "Deutschland" and the game ends 3:1 for "Deutschland". The user gets 6 points for the correct goal difference.

Important: this rule only applies for non-draws. If the user bets 2:2 and the game ends 3:3, the user should get 4 points.

4 points for the correct tendency 🙂

The user gets 4 points for the correct tendency if the user bets 2:1 for "Deutschland" and the game ends 3:1 for "Deutschland".

0 points for everything else 🥲

If the user bets 2:1 for "Deutschland" and the game ends 1:1, the user gets 0 points. Also, if the user forgets to bet on a game, the user gets 0 points.

How do I hand in my project?

Create a private GitHub repository and commit your code there. Provide READ permissions to then, so that we can see what you have been building. When you hand in your application for the scholarship on our scholarship website include the link to your GitHub repository.

What should be included:

  • Your working code
  • A toplevel that explains your approach (including possible optimizations)
  • We want to see your project in action: Run your project in your own environment and demonstrate it by using screen recording (there are plenty of tools that can support you with that). The recoding should show the required functionality. Feel free to add some commentary to it. Upload that video somewhere (e.g. YouTube or some other cloud and include a link to it in your

So, what else? Have fun! We're looking forward to hearing from you! 😎

Click here to start the challenge and access the datasets 🚀


In case of any questions, contact